Job =
Next, work out how many lines below have the word "formula" in them; a number is enough.

Excerpt =
/*
{
  "formula": "C32H16F19GaGeN5S",
  "method": "the ωB97M-V functional and the def2-TZVPD basis",
  "elements": ["Ga", "C", "N", "C", "C", "C", "N", "C", "C", "F", "C", "F", "C", "C", "F", "C", "F", "H", "H", "H", "H", "H", "H", "H", "H", "H", "H", "H", "F", "C", "C", "C", "F", "C", "F", "C", "F", "C", "F", "Ge", "S", "C", "C", "F", "C", "F", "C", "F", "C", "F", "C", "F", "C", "C", "F", "C", "F", "C", "F", "C", "F", "C", "F", "N", "C", "C", "N", "C", "C", "N", "H", "H", "H", "H", "H"],
  "positions_angstrom": [[-0.789940, -1.513909, 0.048390], [-0.873928, -3.166715, -2.961692], [-0.728755, -1.837636, -2.359055], [-1.592361, -0.926295, -3.106874], [0.683374, -1.438222, -2.424655], [1.535593, -2.264808, -1.422995], [0.720408, -2.673278, -0.292683], [0.507407, -4.007138, -0.069138], [-0.796697, -4.501923, 0.046390], [-1.817569, -3.597025, -0.222384], [-1.094133, -5.821610, 0.324757], [-2.370637, -6.203378, 0.418357], [-0.071000, -6.738031, 0.480270], [1.235063, -6.292161, 0.337282], [2.226867, -7.166864, 0.463536], [1.528145, -4.960263, 0.074874], [2.802491, -4.565699, -0.033136], [-0.607267, -3.123831, -4.022768], [-0.221059, -3.892832, -2.481083], [-1.907096, -3.500084, -2.877489], [-1.279522, -0.858370, -4.151724], [-2.615112, -1.298956, -3.056540], [-1.568792, 0.069190, -2.672892], [1.078824, -1.577423, -3.436657], [0.749390, -0.372697, -2.171334], [1.937725, -3.145863, -1.923309], [2.391675, -1.665604, -1.097428], [-0.286782, -7.772343, 0.687841], [1.504667, -0.121366, 0.919644], [2.362900, 0.666485, 0.203102], [1.806204, 1.687926, -0.541472], [2.653579, 2.484271, -1.295259], [2.126893, 3.446241, -2.046330], [4.034523, 2.315727, -1.264021], [4.829100, 3.120175, -1.952338], [4.572636, 1.302266, -0.471985], [5.883165, 1.144654, -0.406665], [3.732094, 0.448346, 0.248303], [4.243364, -0.534555, 0.978793], [-0.093451, 2.203761, -0.197353], [-1.652730, 0.619434, 0.007057], [-0.759949, 3.403580, -1.612363], [-0.593926, 3.040016, -2.933070], [0.081799, 1.897856, -3.161134], [-1.111772, 3.790802, -3.976563], [-0.965604, 3.402915, -5.237778], [-1.820323, 4.954305, -3.673237], [-2.369386, 5.663286, -4.646015], [-1.974238, 5.357331, -2.347015], [-2.642927, 6.464646, -2.058910], [-1.442904, 4.568933, -1.334288], [-1.598287, 4.902473, -0.047165], [0.151324, 3.307099, 1.451115], [0.986557, 4.405507, 1.331424], [1.556958, 4.616722, 0.138584], [1.244768, 5.269360, 2.385818], [2.064912, 6.297843, 2.226856], [0.622213, 5.038014, 3.611609], [0.850684, 5.837103, 4.639187], [-0.234352, 3.950562, 3.753108], [-0.832427, 3.701150, 4.918333], [-0.454262, 3.104318, 2.673353], [-1.262299, 2.046960, 2.833404], [-1.606016, -0.056804, 5.158499], [-1.843530, -1.017484, 4.260814], [-1.251503, -1.027897, 2.971670], [-1.544273, -1.975577, 2.092901], [-2.378193, -2.951362, 2.474139], [-2.910887, -2.956577, 3.759167], [-2.665635, -2.007884, 4.629946], [-1.129765, 0.793646, 4.915529], [-2.157565, -0.067041, 6.001235], [-0.565567, -0.250568, 2.659381], [-2.652432, -3.724344, 1.779879], [-3.570451, -3.748491, 4.082249]],
*/

Outcome =
1